What to do.
Now filter the data further down: keep the lines with the word "coordinates".
Material.
=====
{
  "formula": "C19H61N17O10",
  "method": "wB97M-V/def2-TZVPD",
  "elements": ["C", "O", "C", "C", "C", "N", "H", "H", "H", "H", "H", "H", "H", "H", "H", "H", "H", "C", "O", "C", "C", "C", "N", "H", "H", "H", "H", "H", "H", "H", "H", "H", "H", "H", "C", "O", "C", "C", "C", "N", "H", "H", "H", "H", "H", "H", "H", "H", "H", "H", "H", "N", "C", "N", "O", "H", "H", "H", "H", "N", "C", "N", "O", "H", "H", "H", "H", "N", "C", "N", "O", "H", "H", "H", "H", "N", "C", "N", "O", "H", "H", "H", "H", "N", "C", "N", "O", "H", "H", "H", "H", "N", "C", "N", "O", "H", "H", "H", "H", "N", "C", "N", "O", "H", "H", "H", "H"],
  "coordinates": [[-5.635, 1.352, 0.746], [-4.875, 2.131, -0.249], [-3.512, 1.944, -0.279], [-2.853, 2.766, -1.376], [-2.859, 4.238, -0.931], [-3.494, 2.358, -2.649], [-5.094, 1.306, 1.713], [-5.742, 0.292, 0.463], [-6.661, 1.714, 0.864], [-3.135, 2.273, 0.669], [-3.223, 0.918, -0.483], [-1.781, 2.406, -1.452], [-2.100, 4.358, -0.122], [-3.857, 4.616, -0.700], [-2.549, 4.810, -1.769], [-4.538, 2.516, -2.535], [-3.160, 2.893, -3.554], [1.748, 2.370, -4.953], [2.449, 2.250, -3.781], [1.871, 2.966, -2.707], [2.915, 3.112, -1.594], [3.428, 1.669, -1.254], [2.420, 3.757, -0.436], [1.827, 3.386, -5.362], [0.714, 2.205, -4.786], [2.120, 1.674, -5.677], [1.611, 3.946, -3.068], [0.970, 2.569, -2.206], [3.826, 3.680, -1.922], [2.606, 1.065, -0.887], [4.382, 1.591, -0.684], [3.680, 1.239, -2.234], [1.694, 3.311, 0.099], [2.199, 4.700, -0.680], [-3.322, -0.313, 4.183], [-2.015, -0.317, 3.546], [-1.931, -1.121, 2.376], [-2.160, -2.708, 2.483], [-1.412, -3.191, 3.678], [-1.782, -3.471, 1.257], [-4.196, -0.178, 3.559], [-3.269, 0.495, 4.966], [-3.524, -1.267, 4.682], [-2.628, -0.784, 1.587], [-0.928, -1.073, 1.939], [-3.243, -2.848, 2.673], [-1.652, -4.177, 4.025], [-1.558, -2.526, 4.554], [-0.310, -3.086, 3.528], [-2.273, -3.039, 0.428], [-0.785, -3.563, 1.050], [-0.538, 2.053, 3.800], [0.002, 3.313, 3.900], [0.367, 3.850, 2.613], [0.008, 3.902, 4.993], [-0.647, 1.560, 4.638], [-0.502, 1.652, 2.869], [-0.114, 3.453, 1.814], [0.386, 4.817, 2.617], [-1.968, -1.425, -3.899], [-2.920, -1.851, -2.957], [-4.081, -1.095, -2.935], [-2.737, -2.794, -2.204], [-1.188, -2.024, -4.050], [-2.296, -0.985, -4.702], [-4.807, -1.455, -2.321], [-3.876, -0.079, -2.902], [2.751, 1.278, 4.681], [3.145, 0.840, 3.419], [3.262, 1.791, 2.413], [3.255, -0.368, 3.208], [2.871, 2.207, 5.006], [2.668, 0.594, 5.501], [3.589, 1.422, 1.508], [2.472, 2.441, 2.218], [-0.012, -4.257, -1.364], [0.620, -5.181, -0.570], [-0.180, -6.121, 0.016], [1.833, -5.216, -0.402], [0.443, -3.597, -2.022], [-1.037, -4.363, -1.541], [0.239, -6.721, 0.694], [-1.175, -5.916, -0.048], [3.436, -2.788, 0.683], [4.606, -2.356, 0.256], [5.155, -1.448, 1.054], [5.193, -2.725, -0.769], [3.039, -3.532, 0.163], [3.300, -2.723, 1.674], [4.701, -1.230, 1.898], [5.946, -0.913, 0.733], [2.955, -3.610, -2.807], [2.407, -2.413, -3.111], [3.270, -1.337, -3.152], [1.200, -2.232, -3.374], [2.456, -4.472, -2.725], [3.972, -3.578, -2.508], [3.976, -1.292, -2.430], [2.706, -0.489, -3.225], [1.066, -0.373, 0.548], [0.186, 0.344, -0.196], [-0.119, 0.027, -1.461], [-0.239, 1.424, 0.268], [1.642, -1.164, 0.276], [1.440, 0.097, 1.327], [-0.896, 0.533, -1.902], [0.364, -0.692, -1.949]],
=====
Solution.
  "coordinates": [[-5.635, 1.352, 0.746], [-4.875, 2.131, -0.249], [-3.512, 1.944, -0.279], [-2.853, 2.766, -1.376], [-2.859, 4.238, -0.931], [-3.494, 2.358, -2.649], [-5.094, 1.306, 1.713], [-5.742, 0.292, 0.463], [-6.661, 1.714, 0.864], [-3.135, 2.273, 0.669], [-3.223, 0.918, -0.483], [-1.781, 2.406, -1.452], [-2.100, 4.358, -0.122], [-3.857, 4.616, -0.700], [-2.549, 4.810, -1.769], [-4.538, 2.516, -2.535], [-3.160, 2.893, -3.554], [1.748, 2.370, -4.953], [2.449, 2.250, -3.781], [1.871, 2.966, -2.707], [2.915, 3.112, -1.594], [3.428, 1.669, -1.254], [2.420, 3.757, -0.436], [1.827, 3.386, -5.362], [0.714, 2.205, -4.786], [2.120, 1.674, -5.677], [1.611, 3.946, -3.068], [0.970, 2.569, -2.206], [3.826, 3.680, -1.922], [2.606, 1.065, -0.887], [4.382, 1.591, -0.684], [3.680, 1.239, -2.234], [1.694, 3.311, 0.099], [2.199, 4.700, -0.680], [-3.322, -0.313, 4.183], [-2.015, -0.317, 3.546], [-1.931, -1.121, 2.376], [-2.160, -2.708, 2.483], [-1.412, -3.191, 3.678], [-1.782, -3.471, 1.257], [-4.196, -0.178, 3.559], [-3.269, 0.495, 4.966], [-3.524, -1.267, 4.682], [-2.628, -0.784, 1.587], [-0.928, -1.073, 1.939], [-3.243, -2.848, 2.673], [-1.652, -4.177, 4.025], [-1.558, -2.526, 4.554], [-0.310, -3.086, 3.528], [-2.273, -3.039, 0.428], [-0.785, -3.563, 1.050], [-0.538, 2.053, 3.800], [0.002, 3.313, 3.900], [0.367, 3.850, 2.613], [0.008, 3.902, 4.993], [-0.647, 1.560, 4.638], [-0.502, 1.652, 2.869], [-0.114, 3.453, 1.814], [0.386, 4.817, 2.617], [-1.968, -1.425, -3.899], [-2.920, -1.851, -2.957], [-4.081, -1.095, -2.935], [-2.737, -2.794, -2.204], [-1.188, -2.024, -4.050], [-2.296, -0.985, -4.702], [-4.807, -1.455, -2.321], [-3.876, -0.079, -2.902], [2.751, 1.278, 4.681], [3.145, 0.840, 3.419], [3.262, 1.791, 2.413], [3.255, -0.368, 3.208], [2.871, 2.207, 5.006], [2.668, 0.594, 5.501], [3.589, 1.422, 1.508], [2.472, 2.441, 2.218], [-0.012, -4.257, -1.364], [0.620, -5.181, -0.570], [-0.180, -6.121, 0.016], [1.833, -5.216, -0.402], [0.443, -3.597, -2.022], [-1.037, -4.363, -1.541], [0.239, -6.721, 0.694], [-1.175, -5.916, -0.048], [3.436, -2.788, 0.683], [4.606, -2.356, 0.256], [5.155, -1.448, 1.054], [5.193, -2.725, -0.769], [3.039, -3.532, 0.163], [3.300, -2.723, 1.674], [4.701, -1.230, 1.898], [5.946, -0.913, 0.733], [2.955, -3.610, -2.807], [2.407, -2.413, -3.111], [3.270, -1.337, -3.152], [1.200, -2.232, -3.374], [2.456, -4.472, -2.725], [3.972, -3.578, -2.508], [3.976, -1.292, -2.430], [2.706, -0.489, -3.225], [1.066, -0.373, 0.548], [0.186, 0.344, -0.196], [-0.119, 0.027, -1.461], [-0.239, 1.424, 0.268], [1.642, -1.164, 0.276], [1.440, 0.097, 1.327], [-0.896, 0.533, -1.902], [0.364, -0.692, -1.949]],